-- What to do --
Your job: transcribe only the last part of the entries further below, starting with the line that has "SmRu2 (meta-GGA".

-- Excerpt --
+++
# LiAlSiO4 GGA-PBE optimized geometry
data_LiAlSiO4
_symmetry_space_group_name_H-M 'P 1'
_symmetry_Int_Tables_number 1
_cell_length_a 5.1449
_cell_length_b 8.1849
_cell_length_c 8.2972
_cell_angle_alpha 73.86
_cell_angle_beta 90.00
_cell_angle_gamma 90.00
loop_
_symmetry_equiv_pos_as_xyz
'x,y,z'
loop_
_atom_site_label
_atom_site_type_symbol
_atom_site_fract_x
_atom_site_fract_y
_atom_site_fract_z
Li1 Li 0.3303 0.5023 0.7233
Li2 Li 0.1559 0.9729 0.4182
Li3 Li 0.8441 0.9729 0.9182
Li4 Li 0.6697 0.5023 0.2233
Al1 Al 0.1789 0.3670 0.1261
Al2 Al 0.6699 0.8669 0.2833
Al3 Al 0.3301 0.8669 0.7833
Al4 Al 0.8211 0.3670 0.6261
Si1 Si 0.8278 0.7406 0.6625
Si2 Si 0.6747 0.2463 0.9996
Si3 Si 0.1722 0.7406 0.1625
Si4 Si 0.3253 0.2463 0.4996
O1 O 0.3782 0.3228 0.9710
O2 O 0.8619 0.7157 0.2156
O3 O 0.7105 0.0544 0.1236
O4 O 0.8482 0.3806 0.0713
O5 O 0.7019 0.5586 0.6581
O6 O 0.2212 0.2176 0.3222
O7 O 0.3349 0.8161 0.2975
O8 O 0.6218 0.3228 0.4710
O9 O 0.6651 0.8161 0.7975
O10 O 0.8074 0.8770 0.4746
O11 O 0.2895 0.0544 0.6236
O12 O 0.1926 0.8770 0.9746
O13 O 0.2981 0.5586 0.1581
O14 O 0.1518 0.3806 0.5713
O15 O 0.1381 0.7157 0.7156
O16 O 0.7788 0.2176 0.8222
# energy relative to the elements = -2153 kJ/mol of formula units
# spin magnetization = 0.00 μB per formula unit
# largest piezoelectric modulus = 0.31 C/m²
# space group = Pc (7)
# energy relative to the lowest polymorph listed for this composition = 22 meV/atom


# Fe3CoP4O16 (PBE with a Hubbard U, optimized geometry)
# ΔE_f: -2.24 eV per atom
# Electronic total energy: -167.65 eV per cell
# Volume: 11.9 Å³ per atom
data_Fe3CoP4O16
_cell_length_a 4.860
_cell_length_b 5.891
_cell_length_c 9.938
_cell_angle_alpha 90.00
_cell_angle_beta 90.13
_cell_angle_gamma 90.00
_symmetry_space_group_name_H-M 'P 1 m 1'
_symmetry_Int_Tables_number 6
loop_
_symmetry_equiv_pos_as_xyz
'x,y,z'
'x,-y,z'
loop_
_atom_site_label
_atom_site_type_symbol
_atom_site_fract_x
_atom_site_fract_y
_atom_site_fract_z
Fe1 Fe 0.000 0.000 0.000
Fe2 Fe 0.069 0.500 0.550
Fe3 Fe 0.570 0.000 0.501
Co1 Co 0.470 0.500 0.060
P1 P 0.121 0.000 0.680
P2 P 0.462 0.000 0.180
P3 P 0.619 0.500 0.369
P4 P 0.950 0.500 0.879
O1 O 0.191 0.000 0.829
O2 O 0.267 0.203 0.604
O3 O 0.267 0.500 0.897
O4 O 0.309 0.500 0.392
O5 O 0.314 0.202 0.103
O6 O 0.383 0.000 0.328
O7 O 0.693 0.500 0.219
O8 O 0.766 0.297 0.444
O9 O 0.772 0.000 0.161
O10 O 0.808 0.295 0.950
O11 O 0.811 0.000 0.656
O12 O 0.896 0.500 0.727

# FeCoPO5 (PBE with a Hubbard U, optimized geometry)
# ΔE_f: -2.01 eV per atom
# Electronic total energy: -218.08 eV per cell
# Volume: 11.3 Å³ per atom
data_FeCoPO5
_cell_length_a 7.416
_cell_length_b 6.530
_cell_length_c 7.480
_cell_angle_alpha 90.00
_cell_angle_beta 90.00
_cell_angle_gamma 90.00
_symmetry_space_group_name_H-M 'P n m a'
_symmetry_Int_Tables_number 62
loop_
_symmetry_equiv_pos_as_xyz
'x,y,z'
'-x,-y,-z'
'-x+1/2,-y,z+1/2'
'x+1/2,y,-z+1/2'
'x+1/2,-y+1/2,-z+1/2'
'-x+1/2,y+1/2,z+1/2'
'-x,y+1/2,-z'
'x,-y+1/2,z'
loop_
_atom_site_label
_atom_site_type_symbol
_atom_site_fract_x
_atom_site_fract_y
_atom_site_fract_z
Fe1 Fe 0.152 0.250 0.216
Co1 Co 0.000 0.000 0.500
P1 P 0.123 0.750 0.133
O1 O 0.050 0.250 0.978
O2 O 0.096 0.750 0.643
O3 O 0.130 0.559 0.257
O4 O 0.206 0.250 0.511


# 1
## SmRu2 (meta-GGA r2SCAN)

Data for a relaxed structure of SmRu2.

Calculated values
Magnetic moment: 0.0 Bohr magnetons per cell
Electronic total energy: -81.3 eV/f.u.

The structure in extended XYZ format:
```
12
Lattice="-2.632 -4.560 0.000 -2.632 4.560 0.000 0.000 0.000 -9.063" Properties=species:S:1:pos:R:3 pbc="T T T"
Sm -2.632 -1.520 -5.144
Sm -2.632 1.520 -3.919
Sm -2.632 1.520 -0.613
Sm -2.632 -1.520 -8.451
Ru -2.632 -4.560 -4.531
Ru -2.632 -4.560 -0.001
Ru -1.338 0.772 -6.798
Ru -2.632 3.015 -6.798
Ru -3.927 0.772 -6.798
Ru -3.927 -0.772 -2.265
Ru -2.632 -3.016 -2.265
Ru -1.338 -0.772 -2.265
```



# 2
## Sm3Ru (meta-GGA r2SCAN)

Data for a relaxed structure of Sm3Ru.

Calculated values
Magnetic moment: 0.0 Bohr magnetons per cell
+++

-- Completed --
## SmRu2 (meta-GGA r2SCAN)

Data for a relaxed structure of SmRu2.

Calculated values
Magnetic moment: 0.0 Bohr magnetons per cell
Electronic total energy: -81.3 eV/f.u.

The structure in extended XYZ format:
```
12
Lattice="-2.632 -4.560 0.000 -2.632 4.560 0.000 0.000 0.000 -9.063" Properties=species:S:1:pos:R:3 pbc="T T T"
Sm -2.632 -1.520 -5.144
Sm -2.632 1.520 -3.919
Sm -2.632 1.520 -0.613
Sm -2.632 -1.520 -8.451
Ru -2.632 -4.560 -4.531
Ru -2.632 -4.560 -0.001
Ru -1.338 0.772 -6.798
Ru -2.632 3.015 -6.798
Ru -3.927 0.772 -6.798
Ru -3.927 -0.772 -2.265
Ru -2.632 -3.016 -2.265
Ru -1.338 -0.772 -2.265
```



# 2
## Sm3Ru (meta-GGA r2SCAN)

Data for a relaxed structure of Sm3Ru.

Calculated values
Magnetic moment: 0.0 Bohr magnetons per cell